Full disclosure: I work for Google. However, this blog reflects my personal opinions only.
Programming and computer science are not synonymous, but obviously the two are deeply intertwined. The fundamental activity of programming is the construction of abstractions. Programming language design and implementation is one of the fundamental forms of abstraction building. It is central to the field, and has been so nearly since its inception. One of the oldest and most important research conferences in computer science is named Programming Language Design and Implementation.
This suggests a particular understanding of what Section 3.3.1 means. Section 3.3.1 says: "Thou shalt not build abstractions other than those we prescribe." It bans one of the fundamental activities of programming.
This would be a mere curiosity, except for Apple's unusually influential position in the computing industry. All trends point towards mobile devices* becoming much more pervasive than all other general-purpose computing devices. Indeed, the combination of mobile and cloud computing may someday replace all other user-visible hardware except what's needed to support input and output (screens, cameras, etc.). And Apple has the credible goal of becoming the preeminent mobile device provider, setting standards for the industry and defining the entire computing experience for a huge swath of future computer users.
Section 3.3.1 therefore constitutes a direct attack on computer science, delivered by a powerful and well-funded organization that aims to transform laypeople's interface to the field. As long as 3.3.1 stands, for a computer scientist to purchase an iPhone or iPad is akin to a biologist purchasing a textbook that advocates against teaching evolution. Full stop. Go ahead and do it if you can't resist the shiny, but understand the moral weight of the decision you're making.
I can already hear people ready to trot out the standard roster of excuses. Hit the comment box if you want, but realize that I've anticipated the common objections and the only thing stopping me from preemptively rebutting them all is the fact that I'm moving soon and I have a huge number of boxes to pack. To pick just three examples:
Q: "The iPad isn't for people like you. Why do you care?"
A: "This post isn't for people who don't care. Why are you reading it?"
Q: "Apple has a right to do whatever it wants with its platform. If you don't like it, you shouldn't use it."
A: "Thank you for agreeing with me."
Q: "You can program whatever you want in HTML5 and access it through Safari."
• Inserted here: records of crystals:
********
Below is a relaxed PrHoErLu crystal, with properties calculated at the PBE level.

a b c (Å): 5.659 5.659 5.659
angles (deg): 60.00 60.00 60.00
Sites, in units of the cell vectors:
Pr1 0.000 0.000 0.000
Ho1 0.500 0.500 0.500
Er1 0.250 0.250 0.250
Lu1 0.750 0.750 0.750

Output
density	8.4	g/cm3
energy of formation from the pure elements	0.109	eV per atom
density of states at the Fermi level	5.77	states/eV/cell
symmetry	F-43m
electronic total energy	-4.5016	eV/atom

=====

[1]
Density functional theory data (PBE-GGA) for a geometry-optimized NdDy5Er12 structure. Values from VASP.

Structure (Quantum ESPRESSO input):
```
&SYSTEM
  ibrav = 0, nat = 18, ntyp = 3
/
ATOMIC_SPECIES
Nd 144.24 Nd.upf
Dy 162.50 Dy.upf
Er 167.26 Er.upf
CELL_PARAMETERS angstrom
10.562 0.001 0.004
5.279 9.084 1.139
-0.002 1.292 5.969
ATOMIC_POSITIONS crystal
Nd 0.000 0.000 0.000
Dy 0.500 0.000 0.500
Dy 0.167 0.665 0.501
Dy 0.833 0.335 0.499
Dy 0.667 0.667 0.000
Dy 0.333 0.333 0.000
Er 0.832 0.000 0.500
Er 0.168 0.000 0.500
Er 0.666 0.000 0.000
Er 0.334 0.000 0.000
Er 0.335 0.665 0.000
Er 0.000 0.665 0.000
Er 0.000 0.335 0.000
Er 0.665 0.335 0.000
Er 0.500 0.333 0.501
Er 0.833 0.667 0.499
Er 0.167 0.333 0.501
Er 0.500 0.667 0.499
```

calculated volume: 30.95 Å³ per atom
SG: C2/m (12)
formation energy from the elements: 0.022 eV/atom
DOS(E_F): 23.7 states/eV/cell

[2]
Density functional theory data (PBE-GGA) for a geometry-optimized NdDy3Er2 structure. Values from VASP.

Structure (Quantum ESPRESSO input):
```
&SYSTEM
  ibrav = 0, nat = 12, ntyp = 3
/
ATOMIC_SPECIES
Nd 144.24 Nd.upf
Dy 162.50 Dy.upf
Er 167.26 Er.upf
CELL_PARAMETERS angstrom
7.101 0.000 0.000
0.000 6.124 0.545
-3.551 -0.758 8.671
ATOMIC_POSITIONS crystal
Nd 0.874 0.750 0.000
Nd 0.126 0.250 0.000
Dy 0.624 0.250 0.000
Dy 0.376 0.750 0.000
Dy 0.043 0.085 0.337
Dy 0.706 0.415 0.663
Dy 0.294 0.585 0.337
Dy 0.957 0.915 0.663
Er 0.792 0.583 0.335
Er 0.543 0.083 0.335
Er 0.457 0.917 0.665
Er 0.208 0.417 0.665
```

calculated volume: 31.67 Å³ per atom
SG: C2/c (15)
formation energy from the elements: 0.020 eV/atom
energy relative to the lowest polymorph listed for this composition: 0.0231 eV/atom
DOS(E_F): 16.5 states/eV/cell

[3]
Density functional theory data (PBE-GGA) for a geometry-optimized Nd2DyEr structure. Values from VASP.

Structure (Quantum ESPRESSO input):
```
&SYSTEM
  ibrav = 0, nat = 4, ntyp = 3
/
ATOMIC_SPECIES
Dy 162.50 Dy.upf
Nd 144.24 Nd.upf
Er 167.26 Er.upf
CELL_PARAMETERS angstrom
3.611 0.000 0.000
0.000 3.611 0.000
0.000 0.000 10.137
ATOMIC_POSITIONS crystal
Dy 0.500 0.500 0.500
Nd 0.000 0.000 0.751
Nd 0.000 0.000 0.249
Er 0.500 0.500 0.000
```

calculated volume: 33.04 Å³ per atom
SG: P4/mmm (123)
formation energy from the elements: 0.020 eV/atom
energy relative to the lowest polymorph listed for this composition: 0.0073 eV/atom
DOS(E_F): 5.7 states/eV/cell

[4]
Density functional theory data (PBE-GGA) for a geometry-optimized NdDyEr2 structure. Values from VASP.
********
A: "Yes, the web is an open platform, which Apple fortunately does not control.** I'm talking about Apple's rules for programming on the platform that it does control."